by Liam Smith, 2019
The three main facets of cycling safety: infrastructure, preventing the accident, and then what happens in the aftermath of an altercation with a motor vehicle. Starting with bike lanes and boulevards, the goal of these is to remove cyclists from wheel to wheel traffic, where the majority of incidents and fatalities occur; however, there are systemic issues with the implementation in many different locations across the country.
One of the main issues surrounding cycling infrastructure is the disconnect between legislators and the cycling community. This rift exists from low-level research all the way up to the Mayor’s office. New York City is a perfect example of this phenomenon. In the wake of the worst year of cycling fatalities in Manhattan, the city is attempting to remedy the issue by adding more infrastructure. Most recently, they are trying to get a bill passed that calls for 50 miles of new bikes lanes each year. While on paper this sounds like a good idea, this is only going to increase tension between pedestrians, cyclists, and drivers. There exists a toxic trifecta between these groups, with each group at odds with the others. It does not help that the infrastructure that is in place already is confusing and difficult to understand. Currently the network of paths and bike lanes is a patchwork with large gaps between sections. This makes navigation treacherous as it oftentimes just ends and plunges you back into traffic, putting you at odds with drivers.

There is a consensus among different members of the urban cycling community that less infrastructure, but with better connections would be more beneficial; however, this is lost on many city planners. When I sat down to interview Yujin Park, a PhD candidate in Knowlton School of Architecture for Regional and City Planning, there was a distinct disconnect. She was in favor of more infrastructure as opposed to connecting existing resources. This directly contradicts the desires of those that actually use the roads and lanes snaking through the city and surrounding neighborhoods.

There is hope though; many institutions Ohio State included, are pouring money into researching the current behaviors of cyclists. This is leading to better infrastructure and increased safety for cyclists. As noted by Ms. Park though, this leaves a blind spot in the coverage because it is much harder to collect data on pedestrians and their needs. While there is a lot of crossover between parties, not everything is like for like. Pedestrians for example require more shade since they are typically more affected by hot temperatures and weather. As a large part of the greater urban community their needs and opinions also need to be heard. They are also put at risk from dangerous drivers just like cyclists.

In the event there is no cycling specific infrastructure to take advantage of, what can you do to protect yourself and avoid an accident? There are many options available ranging from clothing and lights to full-blown radar detection units to boost your situational awareness when riding your bike.
A simple set of lights is one of the first purchases you should make if you plan to ride your bike regularly. Even if you will not be riding in dark conditions, most cycling authorities still recommend keeping your lights running even during the day. Even small LED clip-on lights are visible from a great distance and help identify your direction of travel to passing cars. These can be found at any local bike shop and even most department stores such as Target. Additionally, in the event of a collision, having working lights can help with insurance claims as you did everything you could to avoid an accident.
Another great step in protecting yourself is wearing brightly colored clothing, such as a fluorescent vest or reflective jacket. Especially in lowlight or wet conditions, this greatly improves the visibility of the rider. When used in combination with the aforementioned lights, any rider can instantly turn into a bright beacon on the road.
Much like the lights, there is a wide variety of peripheral gadgets you can add to your bike or apparel to increase your awareness of your surroundings. One of the most popular is the use of a mini mirror. The most common locations are affixed to your helmet or attached to the left side of your handlebars. Even a small mirror allows you to see much more without needing to turn your head and take your attention away from the pavement ahead of you. As a past user, you quickly get comfortable with the extra peripheral vision and feel almost blind or vulnerable when not using it. As mentioned previously, there are even more technologically advanced versions for the tech savvy individual. Garmin makes a clip-on radar unit that connects with Bluetooth to a simple receiver mounted on your handlebars. When a car approaches, it will alert you to the closure speed and distance. If the car approaches too close for comfort, the shrill warning alerts you to take evasive action. Despite all these amazing technologies, cyclists still get hit by cars; however, they better arm the cyclist to defend themselves and leave it less to chance than in the past.

## Crystal structures from another source follow
____________
# 1
This record from the Materials Project describes a geometry-optimized Cs3MnH5 structure. The functional is GGA-PBE.

* MP2020-corrected energy: -3.37 eV per atom

The structure in CIF format:
```
data_Cs3MnH5
_chemical_formula_sum 'Cs12 Mn4 H20'
_cell_length_a 8.441
_cell_length_b 8.441
_cell_length_c 12.638
_cell_angle_alpha 90.00
_cell_angle_beta 90.00
_cell_angle_gamma 90.00
_space_group_name_H-M_alt 'I 4/m c m'
_space_group_IT_number 140
_space_group_name_Hall '-I 4 2c'
loop_
_atom_site_label
_atom_site_type_symbol
_atom_site_fract_x
_atom_site_fract_y
_atom_site_fract_z
Cs1 Cs 0.000 0.000 0.250
Cs2 Cs 0.183 0.317 0.000
Mn1 Mn 0.000 0.500 0.250
H1 H 0.000 0.000 0.000
H2 H 0.119 0.381 0.334
```


# 2
This record from the Materials Project describes a geometry-optimized CsH5N2 structure. The functional is GGA-PBE.

* MP2020-corrected energy: -4.72 eV per atom
* ΔE to the lowest computed polymorph: 0.011 eV per atom
* total magnetization: 0.001 μB per cell

The structure in CIF format:
```
data_CsH5N2
_chemical_formula_sum 'Cs4 H20 N8'
_cell_length_a 7.049
_cell_length_b 5.732
_cell_length_c 10.283
_cell_angle_alpha 90.00
_cell_angle_beta 90.00
_cell_angle_gamma 90.00
_space_group_name_H-M_alt 'P n m a'
_space_group_IT_number 62
loop_
_space_group_symop_operation_xyz
'x,y,z'
'-x,-y,-z'
'-x+1/2,-y,z+1/2'
'x+1/2,y,-z+1/2'
'x+1/2,-y+1/2,-z+1/2'
'-x+1/2,y+1/2,z+1/2'
'-x,y+1/2,-z'
'x,-y+1/2,z'
loop_
_atom_site_label
_atom_site_type_symbol
_atom_site_fract_x
_atom_site_fract_y
_atom_site_fract_z
Cs1 Cs 0.205 0.250 0.084
H1 H 0.095 0.600 0.312
H2 H 0.112 0.250 0.479
H3 H 0.233 0.250 0.747
H4 H 0.234 0.750 0.864
N1 N 0.121 0.250 0.379
N2 N 0.122 0.750 0.256
```


no.,E_tot (Ry/atom),energy of formation (eV per atom)
1,-0.241,-0.1711
2,-0.341,-0.4080

* * * * *

Record 1
A plane-wave DFT calculation with PBE-GGA was carried out for LiAsSe2 after structural relaxation.

Values from the calculation:
Largest piezoelectric modulus, C/m2: 1.466
Space-group type: Cc
Formation energy from the elements, eV/atom: -0.790
Total energy after the MP2020 corrections, eV per atom: -4.180

The structure in extended XYZ format:
```
8
Lattice="-6.1556 1.1442 2.7642 -4.7295 -4.2131 2.5928 0.2781 -0.1061 5.6287" Properties=species:S:1:pos:R:3 pbc="T T T"
Li -5.6438 -0.3084 5.5192
Li -4.8241 -2.9186 8.2518
As -3.4620 0.5901 2.5009
As -2.5323 -2.4328 5.2203
Se -7.5547 -3.5770 8.2352
Se -8.3407 -1.0936 5.4986
Se -5.6960 -0.1093 2.7279
Se -4.8148 -2.9503 5.4531
```

Record 2
A plane-wave DFT calculation with PBE-GGA was carried out for Co2CuN2 after structural relaxation.

Values from the calculation:
ΔE to the lowest computed polymorph, kcal/mol of atoms: 3.22
Space-group type: Pmmn
Formation energy from the elements, eV/atom: 0.245
Total energy after the MP2020 corrections, eV per atom: -6.752

The structure in extended XYZ format:
```
10
Lattice="-2.6055 -0.4099 -0.8228 0.0685 2.4271 -1.4261 3.9450 -5.7642 -9.6203" Properties=species:S:1:pos:R:3 pbc="T T T"
____________

In the event a crash is inevitable though, we have our third facet of cycling safety: protective gear. This includes but is not limited to helmets and body armor, and more recently, airbags. Trek is currently the leader in pioneering new technologies to create safer helmets, unveiling WaveCel earlier this year. This is a honeycomb design that is intended to absorb dangerous rotational forces acting on your brain in the event of a crash. Most helmets use a material called EPS or Expanding Polystyrene to redirect the impact forces; however, the material is largely limited to a linear redirection. If the more dangerous spinning forces are acting on your head, they are much less effective. That’s not to say a helmet without these new technologies is useless. Speaking from personal experience, I crashed at 35 miles per hour and an EPS helmet saved my life by crushing just like it was supposed to.
While the newest in a line of new helmet liners WaveCel is not alone. POC in Sweden developed their own proprietary version aptly name SPIN, short for Shearing Pad INside. Much like the crumple zone on a car, it is designed to deform and relieve the pressure generated from a side-on impact. Additionally, many other helmet manufacturers have licensed MIPS, which functions largely the same way. This really was a huge leap forward since most helmets were largely unchanged since their mainstream introduction.

-- These records of crystals were left in the article by mistake --
'''
No. 1
A relaxed Li3DySb2 crystal. Source: the Materials Project database, functional meta-GGA r2SCAN.

The space group is P-3m1 (No. 164) and the conventional cell measures 4.5278, 4.5278 and 7.1666 Å, with angles of 90.00, 90.00 and 120.00 degrees. The distinct sites, in fractional coordinates, are Li at (0.0000, 0.0000, 0.0000), Li at (0.3333, 0.6667, 0.1494), Dy at (0.0000, 0.0000, 0.5000) and Sb at (0.3333, 0.6667, 0.7483).

For the formation energy, the calculation gives -973 meV per atom.

=====

No. 2
A relaxed Li2DyTl crystal. Source: the Materials Project database, functional meta-GGA r2SCAN.

The space group is Fm-3m (No. 225) and the conventional cell measures 6.778, 6.778 and 6.778 Å, with angles of 90.00, 90.00 and 90.00 degrees. The distinct sites, in fractional coordinates, are Li at (0.250, 0.250, 0.250), Dy at (0.000, 0.000, 0.000) and Tl at (0.000, 0.000, 0.500).

For the formation energy, the calculation gives -310 meV per atom.

=====

No. 3
A relaxed Dy3Lu crystal. Source: the Materials Project database, functional meta-GGA r2SCAN.

The space group is I4/mmm (No. 139) and the conventional cell measures 4.983, 4.983 and 9.978 Å, with angles of 90.00, 90.00 and 90.00 degrees. The distinct sites, in fractional coordinates, are Dy at (0.000, 0.000, 0.000), Dy at (0.000, 0.500, 0.250) and Lu at (0.000, 0.000, 0.500).

For the formation energy, the calculation gives 46 meV per atom. The value obtained for the distance to the lowest polymorph of the same formula is 44 meV/atom.

=====

No. 4
A relaxed Dy3Lu crystal. Source: the Materials Project database, functional meta-GGA r2SCAN.

The space group is P6_3/mmc (No. 194) and the conventional cell measures 7.2076, 7.2076 and 5.5500 Å, with angles of 90.00, 90.00 and 120.00 degrees. The distinct sites, in fractional coordinates, are Dy at (0.1677, 0.3355, 0.2500) and Lu at (0.3333, 0.6667, 0.7500).

For the formation energy, the calculation gives 2 meV per atom. The value obtained for the distance to the lowest polymorph of the same formula is 0 meV/atom.


BaCdSb2 after structural relaxation, computed with PBE.

Values from the calculation:
MP2020-corrected energy	-55.638	eV per cell
energy of formation from the pure elements	-0.70	eV per atom
VASP energy	-3.381	eV/atom

Cell: 4.6133 4.6133 24.8226 Å, 90.00 90.00 90.00°
With the nearest neighbours (Å) after each atom.
Space group I4/mmm (No. 139)
One atom of each set of equivalent atoms:
Ba (0.0000, 0.0000, 0.1122)  8 Sb 3.61-3.62
Cd (0.0000, 0.5000, 0.2500)  4 Sb 2.97, 4 Cd 3.26
Sb (0.0000, 0.0000, 0.3256)  4 Cd 2.97
Sb (0.0000, 0.5000, 0.0000)  4 Sb 3.26, 4 Ba 3.62

---

Ba2CdTe3 after structural relaxation, computed with PBE.

Values from the calculation:
MP2020-corrected energy	-93.690	eV per cell
energy of formation from the pure elements	-1.54	eV per atom
VASP energy	-3.693	eV/atom

Cell: 10.0111 4.8193 19.3817 Å, 90.00 90.00 90.00°
With the nearest neighbours (Å) after each atom.
Space group Pnma (No. 62)
'''

Even more revolutionary than WaveCel is a new wearable airbag called HÖVDING. Simply wear around your neck while riding and in the event of a crash, it deploys in one tenth of a second to cushion your impact with the ground. According to Stanford it is the safest cycling head protection in the world, rated up to eight times safer than traditional helmets. The newest version can even call your emergency contacts in the event of an accident. While not designed for more avid cyclists, it is perfect the commuter or recreational rider just looking for some extra protection while riding.
With innovative technologies like these being pioneered all around the world, the future of cycling safety is burning bright. Much attention is being drawn to cycling safety as the community grows larger, which will only serve to improve the situation.